Entries
=====
No. 1
This record from the Open Molecules 2025 dataset describes a gas-phase ion, C17H35BN5O4 (charge +1) in a non-equilibrium geometry. The level of theory is ωB97M-V/def2-TZVPD.

* frontier orbital gap: 6.566 eV
* charge: +1
* LUMO: -5.07 eV

The geometry in XYZ format:
```
62
Properties=species:S:1:pos:R:3:forces:R:3:lowdin_charge:R:1
C -6.443084 -1.703215 -1.572453 -1.74 0.33 0.72 -0.135
O -5.390976 -1.784729 -2.597341 0.59 -0.08 1.72 -0.247
C -4.040558 -1.823137 -2.015799 0.47 -0.61 1.68 -0.234
C -2.907752 -2.577530 -2.929014 -0.96 -0.26 -0.88 -0.179
C -2.258982 -1.670746 -4.129087 -0.48 -0.02 -0.04 -0.214
C -1.301513 -0.436194 -3.635194 0.56 -0.16 -1.10 -0.219
C 0.203536 -0.906866 -3.121049 0.01 0.60 -0.52 -0.200
C 1.161275 0.454777 -2.958621 -0.56 0.55 0.17 -0.196
C 1.874595 0.572516 -1.486705 -0.17 -0.37 0.15 -0.186
C 3.177980 -0.456618 -1.300807 -0.52 1.54 0.14 -0.068
N 2.648997 -1.582515 -0.389445 1.03 -0.79 -1.08 -0.114
N 2.490345 -2.825690 -0.988508 -1.39 1.44 5.49 0.117
N 1.966681 -3.703559 -0.025449 1.14 6.18 2.53 0.110
C 1.847343 -2.865471 1.244316 1.54 0.93 -3.48 0.050
B 1.265713 -3.453248 2.665052 -1.18 -1.31 2.69 -0.390
N 1.511070 -4.885391 3.186909 -1.07 1.86 -3.46 0.120
O 0.420285 -2.580043 3.502493 0.51 -1.62 -3.42 0.035
N 2.323306 -1.441811 0.979347 -1.22 -6.62 -2.31 0.047
C 2.436610 -0.233890 1.882974 0.65 2.71 0.48 -0.099
C 1.009097 0.422334 2.351342 -0.58 0.50 0.89 -0.172
C 1.079885 2.081809 2.547201 0.33 -0.75 -0.03 -0.184
C 0.974142 2.904862 1.133832 0.59 0.03 0.12 -0.170
C 0.066546 4.268413 1.185556 0.07 0.35 -1.43 -0.172
O -0.175087 4.809983 2.531701 3.21 0.34 0.27 -0.122
C 1.023029 5.450901 3.098801 2.60 4.62 -1.48 -0.275
C 1.649164 4.810401 4.508844 -0.84 -0.02 -0.25 -0.027
O 1.606909 6.536216 2.567694 -4.02 -7.29 2.97 -0.009
H -6.060034 -1.606367 -0.470930 -0.32 -0.17 -2.14 0.088
H -7.157181 -0.763778 -1.750891 1.79 -1.91 0.14 0.107
H -7.183159 -2.640108 -1.575443 1.91 1.79 -0.31 0.108
H -3.707619 -0.738506 -1.678897 -0.58 -1.99 -0.86 0.126
H -4.126399 -2.456379 -1.007490 0.31 1.27 -2.04 0.123
H -3.461341 -3.489487 -3.460525 1.16 1.92 1.22 0.133
H -2.085006 -3.050632 -2.244593 -1.50 1.08 -1.14 0.105
H -3.150144 -1.202720 -4.750991 1.79 -0.96 1.32 0.127
H -1.695630 -2.405998 -4.872438 -0.95 1.69 1.62 0.122
H -1.099978 0.233267 -4.602668 -0.44 -1.35 2.11 0.127
H -1.851115 0.255069 -2.866391 1.10 -1.42 -1.27 0.108
H 0.674829 -1.577966 -3.964185 -1.00 1.16 1.77 0.118
H 0.163300 -1.521837 -2.119046 0.03 1.21 -1.91 0.090
H 0.433117 1.389816 -3.051780 1.60 -1.91 0.22 0.119
H 1.941836 0.559079 -3.846390 -1.57 -0.33 1.99 0.128
H 1.043521 0.261969 -0.687902 1.85 0.65 -1.67 0.099
H 2.225121 1.647809 -1.186183 -0.68 -1.99 -0.92 0.105
H 4.086519 0.103292 -0.771185 -2.03 -1.48 -1.05 0.144
H 3.534433 -0.895151 -2.333825 -0.87 0.51 2.41 0.152
H 2.080226 -5.438114 2.491028 -0.60 0.75 1.11 0.082
H 0.575615 -5.388221 3.203727 1.43 0.88 0.65 0.108
H -0.303661 -2.255947 2.886841 1.15 -0.05 1.23 0.115
H 3.010859 0.613743 1.273384 -1.20 -2.07 1.07 0.139
H 3.106538 -0.422132 2.850288 -1.47 -0.23 -2.37 0.174
H 0.150390 0.187085 1.586200 1.69 0.29 1.44 0.120
H 0.718332 0.012770 3.434421 0.66 0.57 -2.63 0.126
H 2.106940 2.330279 3.078142 -2.18 -0.43 -0.98 0.118
H 0.208034 2.341999 3.289617 1.73 -0.38 -1.62 0.123
H 0.510199 2.209592 0.313434 0.86 1.37 1.55 0.089
H 2.073467 3.204734 0.786869 -2.34 -0.69 0.69 0.126
H 0.611343 5.124303 0.559406 -1.35 -1.96 1.20 0.147
H -0.988723 4.004292 0.711354 2.21 0.86 1.26 0.148
H 2.755782 4.486974 4.264906 -2.30 0.77 0.56 0.098
H 1.626272 5.616575 5.372304 0.19 -1.49 -2.11 0.106
H 1.014769 3.889142 4.903246 1.38 1.97 -1.09 0.084
```
Positions in Å, forces in eV/Å.

No. 2
This record from the Open Molecules 2025 dataset describes 2 unconnected molecules or ions with the total composition C2HN2O2 in a non-equilibrium geometry. The level of theory is ωB97M-V/def2-TZVPD.

* frontier orbital gap: 6.133 eV
* charge: -1
* LUMO: 3.99 eV
=====

Exercise
Your job: restate the block earlier on from the line with "0.611343 5.124303" to the end with every line break kept.

Worked solution
H 0.611343 5.124303 0.559406 -1.35 -1.96 1.20 0.147
H -0.988723 4.004292 0.711354 2.21 0.86 1.26 0.148
H 2.755782 4.486974 4.264906 -2.30 0.77 0.56 0.098
H 1.626272 5.616575 5.372304 0.19 -1.49 -2.11 0.106
H 1.014769 3.889142 4.903246 1.38 1.97 -1.09 0.084
```
Positions in Å, forces in eV/Å.

No. 2
This record from the Open Molecules 2025 dataset describes 2 unconnected molecules or ions with the total composition C2HN2O2 in a non-equilibrium geometry. The level of theory is ωB97M-V/def2-TZVPD.

* frontier orbital gap: 6.133 eV
* charge: -1
* LUMO: 3.99 eV